Source
/*
Entry 1:
{"formula": "C19H13FO2", "method": "ωB97M-V/def2-TZVPD", "elements": ["O", "F", "O", "C", "C", "C", "C", "C", "C", "C", "C", "C", "C", "C", "C", "C", "C", "C", "C", "C", "C", "C", "H", "H", "H", "H", "H", "H", "H", "H", "H", "H", "H", "H", "H"], "coordinates": [[0.2941, 3.2531, 2.6737], [1.8327, 0.1096, -2.9126], [-0.0106, 0.9830, 2.2703], [-0.1901, 2.3462, 2.0124], [-2.2993, 3.7554, -0.9636], [-2.7201, 2.5200, -1.2986], [-1.4253, 3.7526, 0.1761], [-2.4272, 1.2954, -0.6354], [3.4804, -2.9741, -1.9317], [0.2510, -1.9721, 1.4574], [3.1347, -1.8817, -2.6733], [-1.0318, 2.6059, 0.8038], [-1.4904, 1.4282, 0.4061], [-0.0911, -0.8132, 0.7047], [2.9250, -3.3131, -0.7293], [1.2069, -2.8235, 0.9086], [0.4899, -0.5387, -0.5078], [2.1551, -0.9819, -2.2264], [1.8496, -2.5129, -0.2434], [1.4814, -1.3811, -1.0279], [-2.1278, -0.0073, 2.2800], [-0.9015, 0.3770, 1.3228], [-2.5361, 4.5579, -1.6114], [-3.3762, 2.7743, -2.0427], [-1.0569, 4.7764, 0.5760], [-2.7396, 0.2729, -0.8871], [4.1662, -3.6684, -2.3313], [-0.2822, -2.1651, 2.4103], [3.7911, -1.6612, -3.5821], [3.1351, -4.3178, -0.3014], [1.4944, -3.7487, 1.4321], [0.1962, 0.3216, -1.1483], [-1.8271, -0.2111, 3.3271], [-2.8914, 0.7717, 2.3710], [-2.4588, -0.9297, 1.9219]], "largest_force_ha_per_bohr": 0.1019, "e_above_lowest_kcal_mol": 7.2, "smiles": "C[C@]1(c2ccc3cccc(F)c3c2)OC(=O)c2ccccc21", "homo_ev": -8.397, "energy_ev": -26724.8228}



Entry 2:
{"formula": "C19H13N4O3S2Tl", "method": "ωB97M-V/def2-TZVPD", "elements": ["Tl", "N", "C", "C", "C", "C", "C", "C", "S", "N", "C", "C", "C", "C", "C", "C", "N", "H", "H", "H", "H", "H", "H", "H", "H", "H", "O", "S", "O", "N", "C", "O", "C", "C", "C", "C", "C", "C", "H", "H", "H", "H"], "coordinates": [[1.3324, 1.6993, -1.6437], [-3.1188, 0.4394, 0.0789], [-3.4680, -0.9017, 0.3075], [-4.8160, -1.2660, 0.4966], [-5.1451, -2.6129, 0.3262], [-4.1500, -3.5899, 0.0860], [-2.8064, -3.2110, 0.0447], [-2.4613, -1.8619, 0.1726], [-0.8062, -1.4657, -0.0715], [-0.7715, 0.1897, -0.1958], [-1.8773, 0.9028, -0.2154], [-1.7888, 2.3126, -0.6693], [-2.8965, 2.8686, -1.3501], [-2.9241, 4.2438, -1.5860], [-1.7778, 5.0135, -1.3289], [-0.6850, 4.3403, -0.7952], [-0.6432, 3.0335, -0.4441], [-3.8669, 1.0881, -0.0312], [-5.5485, -0.5161, 0.7545], [-6.1821, -2.9171, 0.4389], [-4.4231, -4.6337, -0.1375], [-2.0299, -3.9563, -0.0859], [-3.7412, 2.2610, -1.6303], [-3.7822, 4.7415, -2.0218], [-1.7425, 6.0729, -1.5793], [0.2363, 4.8744, -0.5577], [7.2039, 0.2256, 1.5946], [6.4136, -0.0805, 0.4348], [7.0683, -0.7904, -0.6348], [5.4880, 1.2313, -0.0033], [4.1978, 1.0483, 0.2111], [3.3268, 1.9433, -0.0438], [3.8788, -0.3200, 0.8188], [2.6685, -0.9527, 1.0729], [2.6218, -2.3408, 1.1744], [3.7940, -3.1144, 1.0429], [5.0202, -2.4824, 0.8674], [5.0272, -1.1117, 0.7882], [1.7779, -0.3264, 1.1916], [1.6623, -2.8409, 1.2999], [3.7627, -4.2190, 1.1042], [5.9716, -3.0184, 0.7191]], "largest_force_ha_per_bohr": 0.0558, "e_above_lowest_kcal_mol": 6.8, "homo_ev": -8.050, "energy_ev": -58379.5604}



Entry 3:
*/

What to do
Could you print everything above with every line break kept?

Here it is
Entry 1:
{"formula": "C19H13FO2", "method": "ωB97M-V/def2-TZVPD", "elements": ["O", "F", "O", "C", "C", "C", "C", "C", "C", "C", "C", "C", "C", "C", "C", "C", "C", "C", "C", "C", "C", "C", "H", "H", "H", "H", "H", "H", "H", "H", "H", "H", "H", "H", "H"], "coordinates": [[0.2941, 3.2531, 2.6737], [1.8327, 0.1096, -2.9126], [-0.0106, 0.9830, 2.2703], [-0.1901, 2.3462, 2.0124], [-2.2993, 3.7554, -0.9636], [-2.7201, 2.5200, -1.2986], [-1.4253, 3.7526, 0.1761], [-2.4272, 1.2954, -0.6354], [3.4804, -2.9741, -1.9317], [0.2510, -1.9721, 1.4574], [3.1347, -1.8817, -2.6733], [-1.0318, 2.6059, 0.8038], [-1.4904, 1.4282, 0.4061], [-0.0911, -0.8132, 0.7047], [2.9250, -3.3131, -0.7293], [1.2069, -2.8235, 0.9086], [0.4899, -0.5387, -0.5078], [2.1551, -0.9819, -2.2264], [1.8496, -2.5129, -0.2434], [1.4814, -1.3811, -1.0279], [-2.1278, -0.0073, 2.2800], [-0.9015, 0.3770, 1.3228], [-2.5361, 4.5579, -1.6114], [-3.3762, 2.7743, -2.0427], [-1.0569, 4.7764, 0.5760], [-2.7396, 0.2729, -0.8871], [4.1662, -3.6684, -2.3313], [-0.2822, -2.1651, 2.4103], [3.7911, -1.6612, -3.5821], [3.1351, -4.3178, -0.3014], [1.4944, -3.7487, 1.4321], [0.1962, 0.3216, -1.1483], [-1.8271, -0.2111, 3.3271], [-2.8914, 0.7717, 2.3710], [-2.4588, -0.9297, 1.9219]], "largest_force_ha_per_bohr": 0.1019, "e_above_lowest_kcal_mol": 7.2, "smiles": "C[C@]1(c2ccc3cccc(F)c3c2)OC(=O)c2ccccc21", "homo_ev": -8.397, "energy_ev": -26724.8228}



Entry 2:
{"formula": "C19H13N4O3S2Tl", "method": "ωB97M-V/def2-TZVPD", "elements": ["Tl", "N", "C", "C", "C", "C", "C", "C", "S", "N", "C", "C", "C", "C", "C", "C", "N", "H", "H", "H", "H", "H", "H", "H", "H", "H", "O", "S", "O", "N", "C", "O", "C", "C", "C", "C", "C", "C", "H", "H", "H", "H"], "coordinates": [[1.3324, 1.6993, -1.6437], [-3.1188, 0.4394, 0.0789], [-3.4680, -0.9017, 0.3075], [-4.8160, -1.2660, 0.4966], [-5.1451, -2.6129, 0.3262], [-4.1500, -3.5899, 0.0860], [-2.8064, -3.2110, 0.0447], [-2.4613, -1.8619, 0.1726], [-0.8062, -1.4657, -0.0715], [-0.7715, 0.1897, -0.1958], [-1.8773, 0.9028, -0.2154], [-1.7888, 2.3126, -0.6693], [-2.8965, 2.8686, -1.3501], [-2.9241, 4.2438, -1.5860], [-1.7778, 5.0135, -1.3289], [-0.6850, 4.3403, -0.7952], [-0.6432, 3.0335, -0.4441], [-3.8669, 1.0881, -0.0312], [-5.5485, -0.5161, 0.7545], [-6.1821, -2.9171, 0.4389], [-4.4231, -4.6337, -0.1375], [-2.0299, -3.9563, -0.0859], [-3.7412, 2.2610, -1.6303], [-3.7822, 4.7415, -2.0218], [-1.7425, 6.0729, -1.5793], [0.2363, 4.8744, -0.5577], [7.2039, 0.2256, 1.5946], [6.4136, -0.0805, 0.4348], [7.0683, -0.7904, -0.6348], [5.4880, 1.2313, -0.0033], [4.1978, 1.0483, 0.2111], [3.3268, 1.9433, -0.0438], [3.8788, -0.3200, 0.8188], [2.6685, -0.9527, 1.0729], [2.6218, -2.3408, 1.1744], [3.7940, -3.1144, 1.0429], [5.0202, -2.4824, 0.8674], [5.0272, -1.1117, 0.7882], [1.7779, -0.3264, 1.1916], [1.6623, -2.8409, 1.2999], [3.7627, -4.2190, 1.1042], [5.9716, -3.0184, 0.7191]], "largest_force_ha_per_bohr": 0.0558, "e_above_lowest_kcal_mol": 6.8, "homo_ev": -8.050, "energy_ev": -58379.5604}



Entry 3: